**What to do**
Now reproduce the whole of the block below without altering anything.

**Excerpt**
~~~
Record 1
Diffraction record for Tb5NdYTh2. The X-ray powder pattern is computed, not measured: it uses a structure optimized by DFT (GGA-PBE) and copper Kα.
Neutral-atom scattering factors, no anomalous dispersion.

Structure:
```
Tb5NdYTh2
1.0
-4.4445 4.4445 7.6803
4.4445 -4.4445 7.6803
4.4445 4.4445 -7.6803
Tb Nd Y Th
10 2 2 4
direct
0.0000 0.0000 0.0000
0.0717 0.5717 0.9179
0.1538 0.0717 0.5000
0.3462 0.8462 0.9179
0.4283 0.3462 0.5000
0.5000 0.5000 0.0000
0.5717 0.6538 0.5000
0.6538 0.1538 0.0821
0.8462 0.9283 0.5000
0.9283 0.4283 0.0821
0.2500 0.2500 0.0000
0.7500 0.7500 0.0000
0.2500 0.7500 0.5000
0.7500 0.2500 0.5000
0.1189 0.3811 0.5000
0.3811 0.8811 0.2623
0.6189 0.1189 0.7377
0.8811 0.6189 0.5000
```

Most intense lines, 2θ = 15–90°, sorted by position:
2θ/deg	d (Å)	Rel. int.
28.41	3.141	100
30.77	2.906	75
31.84	2.811	21
33.96	2.640	11
36.95	2.433	42
42.34	2.135	21
47.34	1.920	11
51.79	1.765	17
56.09	1.640	13
58.14	1.587	18
64.01	1.455	16
78.66	1.216	20

=====

Record 2
Diffraction record for Cu2SbRh. The X-ray powder pattern is computed, not measured: it uses a structure optimized by DFT (GGA-PBE) and copper Kα.
Neutral-atom scattering factors, no anomalous dispersion.

Structure:
```
Cu2SbRh
1.0
3.7892 0.0000 0.0000
0.0000 3.7892 0.0000
0.0000 0.0000 8.3579
Cu Sb Rh
4 2 2
direct
0.0000 0.5000 0.2500
0.0000 0.5000 0.7500
0.5000 0.0000 0.2500
0.5000 0.0000 0.7500
0.0000 0.0000 0.0000
0.5000 0.5000 0.5000
0.0000 0.0000 0.5000
0.5000 0.5000 0.0000
```

Most intense lines, 2θ = 15–90°, sorted by position:
2θ/deg	d (Å)	Rel. int.
21.26	4.179	8
33.44	2.679	5
39.97	2.256	100
43.30	2.089	20
48.02	1.895	29
53.07	1.726	3
55.79	1.648	2
66.63	1.404	21
70.26	1.340	9
77.18	1.236	13
84.03	1.152	22
86.25	1.128	10

=====

Record 3
Diffraction record for Sc3Os5. The X-ray powder pattern is computed, not measured: it uses a structure optimized by DFT (GGA-PBE) and copper Kα.
Neutral-atom scattering factors, no anomalous dispersion.

Structure:
```
Sc3Os5
1.0
6.3756 0.0000 0.0000
0.0000 8.9338 0.0000
0.0000 0.0000 4.4723
Sc Os
6 10
direct
0.0000 0.0000 0.0000
0.0000 0.2486 0.5000
0.0000 0.7514 0.5000
0.5000 0.2514 0.5000
0.5000 0.5000 0.0000
0.5000 0.7486 0.5000
0.0000 0.5000 0.0000
0.2385 0.5000 0.5000
0.2500 0.2500 0.0000
0.2500 0.7500 0.0000
0.2615 0.0000 0.5000
0.5000 0.0000 0.0000
0.7385 0.0000 0.5000
0.7500 0.2500 0.0000
0.7500 0.7500 0.0000
0.7615 0.5000 0.5000
```

Most intense lines, 2θ = 15–90°, sorted by position:
2θ/deg	d (Å)	Rel. int.
17.09	5.190	10
27.99	3.188	10
28.24	3.160	20
40.18	2.244	100
40.36	2.235	50
49.83	1.830	9
57.85	1.594	8
58.40	1.580	17
66.01	1.415	6
72.89	1.298	17
73.26	1.292	34
86.78	1.122	11

=====

Record 4
Diffraction record for Ba2CdSn3Hg4. The X-ray powder pattern is computed, not measured: it uses a structure optimized by DFT (GGA-PBE) and copper Kα.
Neutral-atom scattering factors, no anomalous dispersion.

Structure:
```
Ba2CdSn3Hg4
1.0
4.9850 0.0000 0.0000
0.0000 4.9850 0.0000
0.0000 0.0000 12.1334
Ba Cd Sn Hg
2 1 3 4
direct
0.0000 0.5000 0.2413
0.5000 0.0000 0.7587
0.0000 0.0000 0.5000
0.0000 0.5000 0.8669
0.5000 0.0000 0.1331
0.5000 0.5000 0.5000
0.0000 0.0000 0.0000
0.0000 0.5000 0.6328
0.5000 0.0000 0.3672
0.5000 0.5000 0.0000
```

Most intense lines, 2θ = 15–90°, sorted by position:
2θ/deg	d (Å)	Rel. int.
28.42	3.141	48
29.30	3.048	100
36.03	2.492	75
39.18	2.299	51
41.38	2.182	28
46.51	1.952	25
51.88	1.762	27
56.01	1.642	23
60.70	1.526	27
66.89	1.399	22
73.03	1.296	18
87.52	1.115	13

=====

Record 5
Diffraction record for MnCr2Se3S. The X-ray powder pattern is computed, not measured: it uses a structure optimized by DFT (GGA-PBE) and copper Kα.
Neutral-atom scattering factors, no anomalous dispersion.

Structure:
```
MnCr2Se3S
1.0
13.3159 0.0000 0.0000
0.0000 3.6752 0.0000
-2.8399 0.0000 5.6574
Mn Cr Se S
2 4 6 2
direct
0.0000 0.0000 0.0000
0.5000 0.5000 0.0000
0.2451 0.5000 0.7445
0.2630 0.0000 0.2255
0.7451 0.0000 0.7445
0.7630 0.5000 0.2255
0.1274 0.0000 0.7855
0.1393 0.5000 0.2898
~~~

**Here it is**
Record 1
Diffraction record for Tb5NdYTh2. The X-ray powder pattern is computed, not measured: it uses a structure optimized by DFT (GGA-PBE) and copper Kα.
Neutral-atom scattering factors, no anomalous dispersion.

Structure:
```
Tb5NdYTh2
1.0
-4.4445 4.4445 7.6803
4.4445 -4.4445 7.6803
4.4445 4.4445 -7.6803
Tb Nd Y Th
10 2 2 4
direct
0.0000 0.0000 0.0000
0.0717 0.5717 0.9179
0.1538 0.0717 0.5000
0.3462 0.8462 0.9179
0.4283 0.3462 0.5000
0.5000 0.5000 0.0000
0.5717 0.6538 0.5000
0.6538 0.1538 0.0821
0.8462 0.9283 0.5000
0.9283 0.4283 0.0821
0.2500 0.2500 0.0000
0.7500 0.7500 0.0000
0.2500 0.7500 0.5000
0.7500 0.2500 0.5000
0.1189 0.3811 0.5000
0.3811 0.8811 0.2623
0.6189 0.1189 0.7377
0.8811 0.6189 0.5000
```

Most intense lines, 2θ = 15–90°, sorted by position:
2θ/deg	d (Å)	Rel. int.
28.41	3.141	100
30.77	2.906	75
31.84	2.811	21
33.96	2.640	11
36.95	2.433	42
42.34	2.135	21
47.34	1.920	11
51.79	1.765	17
56.09	1.640	13
58.14	1.587	18
64.01	1.455	16
78.66	1.216	20

=====

Record 2
Diffraction record for Cu2SbRh. The X-ray powder pattern is computed, not measured: it uses a structure optimized by DFT (GGA-PBE) and copper Kα.
Neutral-atom scattering factors, no anomalous dispersion.

Structure:
```
Cu2SbRh
1.0
3.7892 0.0000 0.0000
0.0000 3.7892 0.0000
0.0000 0.0000 8.3579
Cu Sb Rh
4 2 2
direct
0.0000 0.5000 0.2500
0.0000 0.5000 0.7500
0.5000 0.0000 0.2500
0.5000 0.0000 0.7500
0.0000 0.0000 0.0000
0.5000 0.5000 0.5000
0.0000 0.0000 0.5000
0.5000 0.5000 0.0000
```

Most intense lines, 2θ = 15–90°, sorted by position:
2θ/deg	d (Å)	Rel. int.
21.26	4.179	8
33.44	2.679	5
39.97	2.256	100
43.30	2.089	20
48.02	1.895	29
53.07	1.726	3
55.79	1.648	2
66.63	1.404	21
70.26	1.340	9
77.18	1.236	13
84.03	1.152	22
86.25	1.128	10

=====

Record 3
Diffraction record for Sc3Os5. The X-ray powder pattern is computed, not measured: it uses a structure optimized by DFT (GGA-PBE) and copper Kα.
Neutral-atom scattering factors, no anomalous dispersion.

Structure:
```
Sc3Os5
1.0
6.3756 0.0000 0.0000
0.0000 8.9338 0.0000
0.0000 0.0000 4.4723
Sc Os
6 10
direct
0.0000 0.0000 0.0000
0.0000 0.2486 0.5000
0.0000 0.7514 0.5000
0.5000 0.2514 0.5000
0.5000 0.5000 0.0000
0.5000 0.7486 0.5000
0.0000 0.5000 0.0000
0.2385 0.5000 0.5000
0.2500 0.2500 0.0000
0.2500 0.7500 0.0000
0.2615 0.0000 0.5000
0.5000 0.0000 0.0000
0.7385 0.0000 0.5000
0.7500 0.2500 0.0000
0.7500 0.7500 0.0000
0.7615 0.5000 0.5000
```

Most intense lines, 2θ = 15–90°, sorted by position:
2θ/deg	d (Å)	Rel. int.
17.09	5.190	10
27.99	3.188	10
28.24	3.160	20
40.18	2.244	100
40.36	2.235	50
49.83	1.830	9
57.85	1.594	8
58.40	1.580	17
66.01	1.415	6
72.89	1.298	17
73.26	1.292	34
86.78	1.122	11

=====

Record 4
Diffraction record for Ba2CdSn3Hg4. The X-ray powder pattern is computed, not measured: it uses a structure optimized by DFT (GGA-PBE) and copper Kα.
Neutral-atom scattering factors, no anomalous dispersion.

Structure:
```
Ba2CdSn3Hg4
1.0
4.9850 0.0000 0.0000
0.0000 4.9850 0.0000
0.0000 0.0000 12.1334
Ba Cd Sn Hg
2 1 3 4
direct
0.0000 0.5000 0.2413
0.5000 0.0000 0.7587
0.0000 0.0000 0.5000
0.0000 0.5000 0.8669
0.5000 0.0000 0.1331
0.5000 0.5000 0.5000
0.0000 0.0000 0.0000
0.0000 0.5000 0.6328
0.5000 0.0000 0.3672
0.5000 0.5000 0.0000
```

Most intense lines, 2θ = 15–90°, sorted by position:
2θ/deg	d (Å)	Rel. int.
28.42	3.141	48
29.30	3.048	100
36.03	2.492	75
39.18	2.299	51
41.38	2.182	28
46.51	1.952	25
51.88	1.762	27
56.01	1.642	23
60.70	1.526	27
66.89	1.399	22
73.03	1.296	18
87.52	1.115	13

=====

Record 5
Diffraction record for MnCr2Se3S. The X-ray powder pattern is computed, not measured: it uses a structure optimized by DFT (GGA-PBE) and copper Kα.
Neutral-atom scattering factors, no anomalous dispersion.

Structure:
```
MnCr2Se3S
1.0
13.3159 0.0000 0.0000
0.0000 3.6752 0.0000
-2.8399 0.0000 5.6574
Mn Cr Se S
2 4 6 2
direct
0.0000 0.0000 0.0000
0.5000 0.5000 0.0000
0.2451 0.5000 0.7445
0.2630 0.0000 0.2255
0.7451 0.0000 0.7445
0.7630 0.5000 0.2255
0.1274 0.0000 0.7855
0.1393 0.5000 0.2898